[Assignment]
Return only the last part of the block underneath, starting with the line that has "... -7.04".
[Entries]
~~~
ORCA calculation (wB97M-V/def2-TZVPD) on a structure of composition C3HCrO2.

```
7
Properties=species:S:1:pos:R:3:nbo_charge:R:1
O -0.265 1.539 0.082 -0.666
O -0.690 -0.088 1.497 -0.662
C -0.278 0.306 0.366 0.715
Cr -1.118 1.859 1.912 1.542
C 1.026 -1.478 -1.078 -0.073
C 0.278 -0.660 -0.569 -0.147
H 1.046 -1.476 -2.210 0.290
```

## Properties
Total energy ... -1309.46133 Eh
Energy relative to the best compared isomer or geometry (same formula, charge and spin) ... 0.0 kcal per mole
LUMO level (spin up / spin down) ... -7.04 / -6.57 eV
Gap between HOMO and LUMO (spin up / spin down) ... 7.927 / 8.407 eV
2S+1 ... 5
Expectation value of S² ... 6.04
HOMO energy (spin up / spin down) ... -14.970 / -14.974 eV
Charge ... +1
~~~
[Done]
LUMO level (spin up / spin down) ... -7.04 / -6.57 eV
Gap between HOMO and LUMO (spin up / spin down) ... 7.927 / 8.407 eV
2S+1 ... 5
Expectation value of S² ... 6.04
HOMO energy (spin up / spin down) ... -14.970 / -14.974 eV
Charge ... +1